North Carolina Pipeline Fight: The Art of Organizing - Waterkeeper

North Carolina Pipeline Fight: The Art of Organizing

By: Ellen Simon

Jan Berger of Paperhand Puppet Intervention designed yard signs.|A tree on David Naylor's property was in the proposed path of the pipeline. |||||

Haw Riverkeeper Emily Sutton is fighting the MVP Southgate pipeline in her North Carolina watershed, work that doubles as a master class in community organizing.

“She hasn’t let up, not one time,” said Kelly Bollinger, who, with her husband, Daniel, owns land in Green Level in Alamance County that was along the original planned path of the pipeline. “She believed the whole time that we could not just change the path of the pipeline but defeat this whole thing. I still believe that, too.”

Sutton first heard about the pipeline proposal when she read an April report in NC Policy Watch. The piece included a 12-county map showing the pipeline would cut through the Haw River basin. Sutton did her own research, scouring MVP’s website and pulling from the extensive resources on the Federal Energy Regulatory Commission on Delaware Riverkeeper Network’s website. Then she set up a community meeting, promoting it by putting fliers from her group, the Haw River Assembly, in grocery stores, coffee shops, libraries, churches, and schools and plastering it on social media.

About 50 people came to that meeting at a food co-op on April 25. Sutton proceeded carefully — and quietly.

Lesson one: When your group is together, create enough quiet so quiet people can speak.

“People are intimidated,” Sutton said. “If you are intentional about leaving that space for people to engage, they’ll take it. You just can’t talk through your questions. You have to give people enough space and quiet to participate, which is hard for a facilitator to do. You have to provide enough quiet time where it’s almost awkward.”

Four landowners came to the first meeting. All had gotten letters saying their property was along one of six proposed routes for the pipeline.

“We spoke up at the meeting; we had a lot of information they didn’t know anything about,” Daniel Bollinger said. “The land agent had already contacted us. They didn’t know it was this far.”

The Bollingers invited Sutton over to their house. She walked the land with them.

“We became pretty fast friends,” Sutton said. “I gave them as much information and talking points as I could for them to talk to their neighbors.”

Lesson two: People in the affected community know best how to approach their neighbors.

The Bollingers started reaching out to their neighbors about the pipeline, then they set up a Facebook page.

“I couldn’t go door to door and talk to people about how they should be fighting this pipeline,” Sutton said. “It was really Daniel and Kelly who talked to their neighbors, talked to their church, talked to their kids’ school groups about how they would be impacted.”

• Between two parts of the piece: crystal structures:
-- begin --
Compound: CsZr2Ga
Source: Alexandria
Functional: PBE
Structure: relaxed

abc: 5.2870 5.2870 20.4957
angles: 90.00 90.00 90.00
Sites, in units of the cell vectors:
Cs 0.0000 0.0000 0.0000
Cs 0.0000 0.5000 0.2500
Cs 0.5000 0.0000 0.7500
Cs 0.5000 0.5000 0.5000
Zr 0.0565 0.2500 0.6250
Zr 0.2500 0.5565 0.8750
Zr 0.2500 0.9435 0.3750
Zr 0.4435 0.2500 0.1250
Zr 0.5565 0.7500 0.1250
Zr 0.7500 0.0565 0.3750
Zr 0.7500 0.4435 0.8750
Zr 0.9435 0.7500 0.6250
Ga 0.0000 0.0000 0.5000
Ga 0.0000 0.5000 0.7500
Ga 0.5000 0.0000 0.2500
Ga 0.5000 0.5000 0.0000

Results
The symmetry is No. 122. The total magnetization comes out at 0.00 μB/f.u. The calculation puts the total energy at -4.286 eV/atom.

=====

Compound: Cr5B2Os4
Source: Alexandria
Functional: PBE
Structure: relaxed

abc: 6.2691 2.7662 7.6038
angles: 90.00 98.17 90.00
Sites, in units of the cell vectors:
Cr 0.0000 0.0000 0.0000
Cr 0.0316 0.0000 0.3330
Cr 0.3251 0.0000 0.8739
Cr 0.6749 0.0000 0.1261
Cr 0.9684 0.0000 0.6670
B 0.4224 0.0000 0.3827
B 0.5776 0.0000 0.6173
Os 0.2917 0.5000 0.5764
Os 0.3171 0.5000 0.1691
Os 0.6829 0.5000 0.8309
Os 0.7083 0.5000 0.4236

Results
The symmetry is No. 10. The total magnetization comes out at 0.00 μB/f.u. The calculation puts the total energy at -9.615 eV/atom.

=====

Compound: MgPaCoH6
Source: Alexandria
Functional: PBE
Structure: relaxed

abc: 4.3821 4.3821 4.3567
angles: 90.00 90.00 120.00
Sites, in units of the cell vectors:
Mg 0.0000 0.0000 0.0000
Pa 0.6667 0.3333 0.5000
Co 0.3333 0.6667 0.0000
H 0.1850 0.3700 0.2878
H 0.1850 0.3700 0.7122
H 0.1850 0.8150 0.2878
H 0.1850 0.8150 0.7122
H 0.6300 0.8150 0.2878
H 0.6300 0.8150 0.7122

Results
The symmetry is No. 187. The total magnetization comes out at 0.00 μB/f.u. The calculation puts the total energy at -4.438 eV/atom.

=====

Q: Number 1 is which compound?
A: CsZr2Ga
-- stop --

Lesson three: On-the-ground work is a great way to gather facts.

From those talks with neighbors, Sutton and the Bollingers figured out where the proposed route was, based on who had received letters telling them the pipeline might run through their property.

Sutton started planning meetings nearly every month about the proposal. Sometimes ten people came; in June, about 50 people gathered in the Bollinger’s barn to make handmade yard signs.


Lesson four: Grassroots organizing inspires unexpected help.

A volunteer artist, Jan Berger of Paperhand Puppet Intervention, designed beautiful yard signs, which sent people to the group’s website, drawing new people to the movement.

Record 1
Zn2Sn2P | PBE | relaxed

crystal system	tetragonal
ΔH_f (0 K)	0.189	eV per atom
total magnetic moment	0.00	μB per atom
symmetry	P4/mbm, No. 127

Cell lengths 6.4231, 6.4231, 5.1775 Å; angles 90.00, 90.00, 90.00 degrees
Last column: nearest neighbours and their distance in Å.
Fractional positions:
1 Zn 0.1372 0.3628 0.0000  2 P 2.49, 1 Zn 2.49
2 Zn 0.3628 0.8628 0.0000  2 P 2.49, 1 Zn 2.49
3 Zn 0.6372 0.1372 0.0000  2 P 2.49, 1 Zn 2.49
4 Zn 0.8628 0.6372 0.0000  2 P 2.49, 1 Zn 2.49
5 Sn 0.1785 0.6785 0.5000  6 Zn 3.08-3.30, 5 Sn 3.24-3.34
6 Sn 0.3215 0.1785 0.5000  6 Zn 3.08-3.30, 5 Sn 3.24-3.34
7 Sn 0.6785 0.8215 0.5000  6 Zn 3.08-3.30, 5 Sn 3.24-3.34
8 Sn 0.8215 0.3215 0.5000  6 Zn 3.08-3.30, 5 Sn 3.24-3.34
9 P 0.0000 0.0000 0.0000  4 Zn 2.49
10 P 0.5000 0.5000 0.0000  4 Zn 2.49



Record 2
ZnSnP2 | PBE | relaxed

crystal system	tetragonal
ΔH_f (0 K)	-0.186	eV per atom
total magnetic moment	0.00	μB per atom
symmetry	P-4m2, No. 115
energy relative to the lowest polymorph listed for this composition	3.7	meV/atom

Cell lengths 4.0399, 4.0399, 5.6774 Å; angles 90.00, 90.00, 90.00 degrees
Last column: nearest neighbours and their distance in Å.
Fractional positions:
1 Zn 0.0000 0.0000 0.0000  4 P 2.40
2 Sn 0.5000 0.5000 0.5000  4 P 2.55
3 P 0.0000 0.5000 0.2267  2 Zn 2.40, 2 Sn 2.55
4 P 0.5000 0.0000 0.7733  2 Zn 2.40, 2 Sn 2.55



Record 3
Zr4SnP | PBE | relaxed

crystal system	monoclinic
ΔH_f (0 K)	-0.654	eV per atom
total magnetic moment	0.00	μB per atom
symmetry	C2/c, No. 15

Cell lengths 7.3410, 7.3410, 5.5367 Å; angles 101.07, 101.07, 115.13 degrees
Last column: nearest neighbours and their distance in Å.
Fractional positions:
1 Zr 0.0823 0.7211 0.9416  2 P 2.70-2.76, 1 Sn 2.97
2 Zr 0.2010 0.3750 0.6434  2 P 2.74-2.76, 1 Sn 2.98
3 Zr 0.2789 0.9177 0.5584  2 P 2.70-2.76, 1 Sn 2.97
4 Zr 0.3750 0.2010 0.1434  2 P 2.74-2.76, 1 Sn 2.98
5 Zr 0.6250 0.7990 0.8566  2 P 2.74-2.76, 1 Sn 2.98
6 Zr 0.7211 0.0823 0.4416  2 P 2.70-2.76, 1 Sn 2.97
7 Zr 0.7990 0.6250 0.3566  2 P 2.74-2.76, 1 Sn 2.98
8 Zr 0.9177 0.2789 0.0584  2 P 2.70-2.76, 1 Sn 2.97
9 Sn 0.3821 0.6179 0.2500  10 Zr 2.97-3.21
10 Sn 0.6179 0.3821 0.7500  10 Zr 2.97-3.21
11 P 0.0048 0.9952 0.2500  8 Zr 2.70-2.76, 2 P 2.77
12 P 0.9952 0.0048 0.7500  8 Zr 2.70-2.76, 2 P 2.77



Record 4
Zr2Sn2P | PBE | relaxed

crystal system	tetragonal
ΔH_f (0 K)	-0.549	eV per atom
total magnetic moment	0.00	μB per atom
symmetry	P4/mbm, No. 127

Cell lengths 7.0318, 7.0318, 4.5386 Å; angles 90.00, 90.00, 90.00 degrees
Last column: nearest neighbours and their distance in Å.
Fractional positions:
1 Zr 0.1706 0.3294 0.0000  2 P 2.61, 2 Sn 2.92
2 Zr 0.3294 0.8294 0.0000  2 P 2.61, 2 Sn 2.92
3 Zr 0.6706 0.1706 0.0000  2 P 2.61, 2 Sn 2.92
4 Zr 0.8294 0.6706 0.0000  2 P 2.61, 2 Sn 2.92
5 Sn 0.1448 0.6448 0.5000  1 Sn 2.88, 6 Zr 2.92-3.18
6 Sn 0.3552 0.1448 0.5000  1 Sn 2.88, 6 Zr 2.92-3.18
7 Sn 0.6448 0.8552 0.5000  1 Sn 2.88, 6 Zr 2.92-3.18
8 Sn 0.8552 0.3552 0.5000  1 Sn 2.88, 6 Zr 2.92-3.18
The page goes on:

Lesson five: Becoming an expert means new opportunities to recruit.

Sutton got a SHAPEfile in July from the North Carolina Department of Natural and Cultural Resources. The file, which had the proposed route’s geospatial coordinates, enabled her find the address of every landowner along the proposed route. In partnership with the Sierra Club and Appalachian Voices, which have also taken lead roles in opposing the pipeline, the Haw River Assembly sent postcards to every home along the route. Their message: You have rights. This isn’t a done deal. Here’s more information.


Lesson six: Learn what your priorities should be from the community.

Landowners told Sutton that the surveyors working for MVP were confrontational and hostile. She added a section to the website explaining how to file a complaint about the surveyors with the Department of Justice. The group also listened to members to develop how-to guides: How to write a letter to the editor. How to talk to people who are pro-pipeline. How to go to a public meeting and talk to your town council.

Lesson Seven: Your supporters’ stories are a powerful tool.

In November, Haw River Assembly held a regional community strategy summit with Sierra Club and Appalachian Voices, training 50 people on how to craft personal narratives to share with neighbors, proponents of the pipeline, elected officials, regulatory agencies, and reporters. With a new opportunity open to comment to Federal Energy Regulatory Commission, the leaders emphasized the importance of individual comments, and trained each participant on how to navigate the commission’s database to submit comments, or file as an intervener, a status that gives you the right to sue FERC over the project. That deadline was Dec. 10, 2018. More than 228 grassroots activists submitted comments; 40 individuals and groups filed as interveners.

A tree on David Naylor’s property was directly on the path of the proposed pipeline.

Lesson eight: Be a presence. Get on the agenda.

Sutton and the activist landowners spoke during at least nine town and county council meetings and worked to be added to the meetings’ agendas, which meant three landowners could speak for three minutes each about how the pipeline would affect them.

The group lobbied the conservative Alamance County commission to add the pipeline to its agenda. Haw made a presentation at a commission meeting, as did MVP. After the Bollingers spoke out, a commissioner arranged a visit to their farm. In September, the commission approved a resolution opposing the pipeline.

“Politically, you’re on opposite ends of the spectrum, the people involved, from the far right and the far left, but you can achieve something, working together, without compromising your principles and beliefs,” Kelly Bollinger said.

The district’s congressman, Mark Walker, and the state’s Department of Environmental Quality have also sided with the pipeline’s opponents. The Department of Environmental Quality sent a letter to Federal Energy Regulatory Commission saying, “we remain unconvinced that the Southgate project is necessary. We question whether the project satisfies the criteria for the commission to deem it in the public interest.”

Lesson Nine: Activism changes outcomes

“Where the original proposed route is and where it is now, it basically goes around our neighborhood,” Daniel Bollinger said. “We raised so much of a fuss, they said, ‘We’re going to leave these people alone.’ If we had more people pushing back where we were pushing, it would have changed where we are right now.”

“We have hopes and dreams for our farm,” Daniel Bollinger said. “To think someone could come in and take us. … That’s why we haven’t said, ‘It’s not affecting us now, we’re stopping.’
It’s not affecting us now, but who’s to say next year another one doesn’t come?”